[Exercise]
It remains to give back everything further below verbatim.
[Input]
____________
Entry 1:
A single C6H7ClFN3O2 molecule, computed with ωB97M-V/def2-TZVPD.

2S+1: 3
Relative energy (zero: lowest compared OMol25 entry of this formula, charge and spin) (kJ/mol): 0.0
Orbital gap (spin up / spin down) (eV): 8.828 / 6.843
Net charge: 0
Calculated total energy (a.u.): -1107.381151
Highest occupied orbital energy (spin up / spin down) (eV): -8.4 / -9.6
Molar mass (g/mol): 207.59
E_LUMO (spin up / spin down) (eV): 0.39 / -2.73

Geometry as XYZ:
```
20
Properties=species:S:1:pos:R:3:forces:R:3
C 0.6651 1.0024 -0.8203 -0.38 0.05 0.02
C -0.5757 1.4619 -0.6890 0.50 -0.13 -0.39
C -1.5512 1.1592 0.3807 0.34 -1.16 0.01
C -1.6488 -0.1898 0.8254 -1.18 0.36 -0.37
C 1.4073 -0.0302 -0.0027 -0.33 0.06 -0.11
C 0.8504 -0.3008 1.3719 1.76 -0.61 0.30
N -2.2606 2.1281 0.8169 -0.49 1.18 0.24
N 1.5383 -1.2907 -0.7125 0.17 -0.21 -0.04
N 0.7875 0.7675 2.2962 0.06 -0.03 0.15
O 0.4581 0.5273 3.4423 -0.25 -0.06 0.45
O 1.0580 1.8763 1.8616 0.16 0.31 -0.13
F -1.0130 2.3585 -1.5892 -0.04 0.06 0.05
Cl 0.9816 -1.8482 2.0478 -0.41 0.53 -0.20
H 1.2466 1.3855 -1.6491 -0.05 0.07 -0.08
H -2.1483 -0.4118 1.7547 -0.09 0.00 0.12
H -1.4827 -1.0058 0.1433 0.35 -0.15 -0.02
H 2.4235 0.3704 0.1540 -0.20 -0.09 0.08
H -2.8870 1.8829 1.5796 0.07 -0.29 0.05
H 2.1995 -1.2219 -1.4732 -0.07 0.05 -0.04
H 0.6455 -1.5992 -1.0795 0.09 0.07 -0.08
```
Positions in Å, forces in eV/Å.

Mulliken atomic charge list, values in e, 8 entries: -0.90, 0.66, 0.92, -1.14, 0.46, -0.64, -0.67, -0.60

---

Entry 2:
A single C6H7ClN2 molecule, computed with ωB97M-V/def2-TZVPD.

Relative energy (zero: lowest compared OMol25 entry of this formula, charge and spin) (kJ/mol): 165.3
Orbital gap (eV): 8.364
Net charge: 0
Calculated total energy (a.u.): -802.439030
Highest occupied orbital energy (eV): -7.6
Molar mass (g/mol): 142.59
SMILES string: C=c1[nH]c(=C)c(Cl)c1N
E_LUMO (eV): 0.80

Geometry as XYZ:
```
16
Properties=species:S:1:pos:R:3:forces:R:3
C -0.5312 -0.2474 -1.1596 1.49 2.06 1.97
C -0.6600 -1.4412 -0.5648 0.10 0.62 0.90
C 0.3277 0.7427 0.0304 -2.10 -2.96 -2.96
C -0.1428 -1.3409 0.8306 1.40 -4.81 0.84
C 0.6393 1.9866 -0.2032 -0.33 3.49 -1.15
C 0.0198 -2.4001 1.7272 -1.49 0.83 -0.03
N 0.5820 -0.1814 1.0256 -1.06 0.80 -0.18
N -0.8983 0.2972 -2.3649 2.43 2.53 3.20
Cl -1.5063 -2.8420 -1.1716 0.41 0.65 0.23
H 1.0513 2.7672 0.4559 0.12 -1.10 0.23
H 0.3154 2.5598 -1.1374 0.33 -1.48 1.03
H 0.1701 -2.3769 2.8328 0.63 1.00 -1.07
H -0.3242 -3.4130 1.5551 -0.41 0.26 -0.85
H 0.5892 0.0243 2.0066 0.47 0.86 0.21
H -1.4412 -0.1779 -2.9762 -2.02 -1.74 -2.00
H -1.0010 1.3198 -2.3155 0.00 -0.99 -0.37
```
Positions in Å, forces in eV/Å.

Mulliken atomic charge list, values in e, 8 entries: 0.53, -0.28, 0.48, 0.66, -1.02, -1.06, -0.21, -0.43

---

Entry 3:
A single C6H7ClN2O4 molecule, computed with ωB97M-V/def2-TZVPD.

Relative energy (zero: lowest compared OMol25 entry of this formula, charge and spin) (kJ/mol): 104.0
Orbital gap (eV): 8.743
Net charge: 0
Calculated total energy (a.u.): -1103.210090
Highest occupied orbital energy (eV): -10.0
Molar mass (g/mol): 206.59
SMILES string: COO[C@@H]1C=CN=C([N+](=O)[O-])[C@H]1Cl
E_LUMO (eV): -1.26

Geometry as XYZ:
```
20
Properties=species:S:1:pos:R:3:forces:R:3
C -0.5979 1.7308 1.0715 0.42 1.87 -1.56
C -0.9413 0.4912 0.2810 1.98 -0.83 -0.72
C 0.5386 1.7460 1.7819 -0.65 0.05 3.40
C -0.1243 -0.7847 0.8595 -0.45 0.81 -0.90
C 1.2339 -0.3667 1.1941 0.24 1.84 1.55
C -1.0087 -0.4523 -3.1092 -2.02 -0.45 -1.98
N 1.4905 0.7473 1.7202 1.13 -0.64 -0.83
N 2.3755 -1.2756 0.9958 1.39 -0.08 -0.11
O 2.2315 -2.0774 0.1004 -0.47 -0.61 -0.49
O 3.4034 -1.1401 1.6249 -0.83 0.25 0.13
O -0.8207 0.6930 -1.1139 0.20 0.34 -0.40
O -1.6678 -0.2299 -1.9066 0.58 0.25 2.75
Cl -0.9216 -1.2320 2.3637 -0.40 -0.43 0.66
H -1.1762 2.7115 0.8844 0.57 -2.03 0.67
H -1.9318 0.3915 0.5639 -2.31 -1.00 0.26
H 0.6944 2.2924 2.7844 -0.23 0.22 -2.30
H 0.0373 -1.6839 0.2852 -1.05 -0.03 -0.81
H 0.0646 -0.3503 -3.1395 0.27 -0.26 0.49
H -1.4690 0.2569 -3.8249 0.64 -0.17 -0.08
____________
[Done]
Entry 1:
A single C6H7ClFN3O2 molecule, computed with ωB97M-V/def2-TZVPD.

2S+1: 3
Relative energy (zero: lowest compared OMol25 entry of this formula, charge and spin) (kJ/mol): 0.0
Orbital gap (spin up / spin down) (eV): 8.828 / 6.843
Net charge: 0
Calculated total energy (a.u.): -1107.381151
Highest occupied orbital energy (spin up / spin down) (eV): -8.4 / -9.6
Molar mass (g/mol): 207.59
E_LUMO (spin up / spin down) (eV): 0.39 / -2.73

Geometry as XYZ:
```
20
Properties=species:S:1:pos:R:3:forces:R:3
C 0.6651 1.0024 -0.8203 -0.38 0.05 0.02
C -0.5757 1.4619 -0.6890 0.50 -0.13 -0.39
C -1.5512 1.1592 0.3807 0.34 -1.16 0.01
C -1.6488 -0.1898 0.8254 -1.18 0.36 -0.37
C 1.4073 -0.0302 -0.0027 -0.33 0.06 -0.11
C 0.8504 -0.3008 1.3719 1.76 -0.61 0.30
N -2.2606 2.1281 0.8169 -0.49 1.18 0.24
N 1.5383 -1.2907 -0.7125 0.17 -0.21 -0.04
N 0.7875 0.7675 2.2962 0.06 -0.03 0.15
O 0.4581 0.5273 3.4423 -0.25 -0.06 0.45
O 1.0580 1.8763 1.8616 0.16 0.31 -0.13
F -1.0130 2.3585 -1.5892 -0.04 0.06 0.05
Cl 0.9816 -1.8482 2.0478 -0.41 0.53 -0.20
H 1.2466 1.3855 -1.6491 -0.05 0.07 -0.08
H -2.1483 -0.4118 1.7547 -0.09 0.00 0.12
H -1.4827 -1.0058 0.1433 0.35 -0.15 -0.02
H 2.4235 0.3704 0.1540 -0.20 -0.09 0.08
H -2.8870 1.8829 1.5796 0.07 -0.29 0.05
H 2.1995 -1.2219 -1.4732 -0.07 0.05 -0.04
H 0.6455 -1.5992 -1.0795 0.09 0.07 -0.08
```
Positions in Å, forces in eV/Å.

Mulliken atomic charge list, values in e, 8 entries: -0.90, 0.66, 0.92, -1.14, 0.46, -0.64, -0.67, -0.60

---

Entry 2:
A single C6H7ClN2 molecule, computed with ωB97M-V/def2-TZVPD.

Relative energy (zero: lowest compared OMol25 entry of this formula, charge and spin) (kJ/mol): 165.3
Orbital gap (eV): 8.364
Net charge: 0
Calculated total energy (a.u.): -802.439030
Highest occupied orbital energy (eV): -7.6
Molar mass (g/mol): 142.59
SMILES string: C=c1[nH]c(=C)c(Cl)c1N
E_LUMO (eV): 0.80

Geometry as XYZ:
```
16
Properties=species:S:1:pos:R:3:forces:R:3
C -0.5312 -0.2474 -1.1596 1.49 2.06 1.97
C -0.6600 -1.4412 -0.5648 0.10 0.62 0.90
C 0.3277 0.7427 0.0304 -2.10 -2.96 -2.96
C -0.1428 -1.3409 0.8306 1.40 -4.81 0.84
C 0.6393 1.9866 -0.2032 -0.33 3.49 -1.15
C 0.0198 -2.4001 1.7272 -1.49 0.83 -0.03
N 0.5820 -0.1814 1.0256 -1.06 0.80 -0.18
N -0.8983 0.2972 -2.3649 2.43 2.53 3.20
Cl -1.5063 -2.8420 -1.1716 0.41 0.65 0.23
H 1.0513 2.7672 0.4559 0.12 -1.10 0.23
H 0.3154 2.5598 -1.1374 0.33 -1.48 1.03
H 0.1701 -2.3769 2.8328 0.63 1.00 -1.07
H -0.3242 -3.4130 1.5551 -0.41 0.26 -0.85
H 0.5892 0.0243 2.0066 0.47 0.86 0.21
H -1.4412 -0.1779 -2.9762 -2.02 -1.74 -2.00
H -1.0010 1.3198 -2.3155 0.00 -0.99 -0.37
```
Positions in Å, forces in eV/Å.

Mulliken atomic charge list, values in e, 8 entries: 0.53, -0.28, 0.48, 0.66, -1.02, -1.06, -0.21, -0.43

---

Entry 3:
A single C6H7ClN2O4 molecule, computed with ωB97M-V/def2-TZVPD.

Relative energy (zero: lowest compared OMol25 entry of this formula, charge and spin) (kJ/mol): 104.0
Orbital gap (eV): 8.743
Net charge: 0
Calculated total energy (a.u.): -1103.210090
Highest occupied orbital energy (eV): -10.0
Molar mass (g/mol): 206.59
SMILES string: COO[C@@H]1C=CN=C([N+](=O)[O-])[C@H]1Cl
E_LUMO (eV): -1.26

Geometry as XYZ:
```
20
Properties=species:S:1:pos:R:3:forces:R:3
C -0.5979 1.7308 1.0715 0.42 1.87 -1.56
C -0.9413 0.4912 0.2810 1.98 -0.83 -0.72
C 0.5386 1.7460 1.7819 -0.65 0.05 3.40
C -0.1243 -0.7847 0.8595 -0.45 0.81 -0.90
C 1.2339 -0.3667 1.1941 0.24 1.84 1.55
C -1.0087 -0.4523 -3.1092 -2.02 -0.45 -1.98
N 1.4905 0.7473 1.7202 1.13 -0.64 -0.83
N 2.3755 -1.2756 0.9958 1.39 -0.08 -0.11
O 2.2315 -2.0774 0.1004 -0.47 -0.61 -0.49
O 3.4034 -1.1401 1.6249 -0.83 0.25 0.13
O -0.8207 0.6930 -1.1139 0.20 0.34 -0.40
O -1.6678 -0.2299 -1.9066 0.58 0.25 2.75
Cl -0.9216 -1.2320 2.3637 -0.40 -0.43 0.66
H -1.1762 2.7115 0.8844 0.57 -2.03 0.67
H -1.9318 0.3915 0.5639 -2.31 -1.00 0.26
H 0.6944 2.2924 2.7844 -0.23 0.22 -2.30
H 0.0373 -1.6839 0.2852 -1.05 -0.03 -0.81
H 0.0646 -0.3503 -3.1395 0.27 -0.26 0.49
H -1.4690 0.2569 -3.8249 0.64 -0.17 -0.08